Assignment =
What is needed: echo only the lines further below with the word "nbo_charge" in them.
Contents =
'''
Entry 1:
23
Properties=species:S:1:pos:R:3:nbo_charge:R:1 method="wB97M-V/def2-TZVPD" smiles="CCC(N)=O.CCC" total_energy_ha=-367.5868 orbital_gap_ev=10.66
C 1.4137 0.2648 0.7406 -0.516
C 0.8933 0.9966 2.0060 -0.609
C 0.9214 -1.1743 0.6860 0.680
O 0.3000 -1.6714 -0.2258 -0.613
N 1.1573 -1.8912 1.8305 -0.831
H 0.8478 0.7218 -0.0694 0.239
H 2.4612 0.3954 0.4737 0.230
H -0.1779 0.9321 1.8797 0.221
H 1.2541 2.0273 1.9293 0.217
H 0.6598 -2.7414 2.0176 0.402
H 1.6419 -1.4604 2.5930 0.384
H 1.3749 0.6761 2.9314 0.200
C -1.7617 0.6238 -1.3304 -0.422
C -1.3413 2.0084 -0.8281 -0.634
C -1.3239 0.2601 -2.7608 -0.618
H -2.8482 0.6507 -1.3661 0.193
H -1.5569 -0.1782 -0.6310 0.222
H -2.2252 2.6216 -0.6200 0.211
H -1.1201 2.0183 0.2384 0.203
H -0.5107 0.9177 -3.1058 0.196
H -0.6345 2.5776 -1.4245 0.211
H -2.1850 0.3007 -3.4154 0.207
H -0.7617 -0.6813 -2.7591 0.229


Entry 2:
23
Properties=species:S:1:pos:R:3:nbo_charge:R:1 method="wB97M-V/def2-TZVPD" total_energy_ha=-367.5648 orbital_gap_ev=9.74
C -1.1133 -1.3735 0.0646 -0.205
C 0.1995 -1.3508 -0.7423 -0.432
C 0.8386 0.0519 -0.6335 0.029
C 1.5221 0.3453 0.4628 -0.205
C 2.2828 1.6029 0.7541 -0.653
C 0.8017 0.8764 -1.8862 -0.658
N -2.1335 -2.1554 -0.6596 -0.852
H -0.9765 -1.9474 0.9863 0.189
H -1.4915 -0.3790 0.3128 0.160
H -0.0219 -1.5055 -1.7918 0.201
H 0.8448 -2.1347 -0.3579 0.222
H 1.5174 -0.3793 1.2728 0.192
H 1.6506 2.4670 0.9477 0.215
H 2.9500 1.5060 1.6100 0.219
H 2.9244 1.8849 -0.0901 0.211
H 1.7960 0.9381 -2.3408 0.225
H 0.1021 0.5086 -2.5926 0.212
H 0.5669 1.9077 -1.6518 0.219
H -2.2573 -1.8275 -1.6072 0.349
H -3.0389 -2.2503 -0.2236 0.361
H -1.8291 1.6501 2.4523 0.475
H -2.6349 0.3289 2.7195 0.473
O -2.4998 1.2356 2.9944 -0.946


Entry 3:
23
Properties=species:S:1:pos:R:3:nbo_charge:R:1 method="wB97M-V/def2-TZVPD" smiles=NCCCCCCO total_energy_ha=-367.5456 orbital_gap_ev=9.53
C 2.2958 1.3940 1.4350 -0.059
O 3.0473 0.7641 0.3550 -0.745
C 0.8754 1.4279 0.8803 -0.419
C 0.3005 0.0730 0.5592 -0.411
C -1.2478 -0.0140 0.7339 -0.404
C -1.9162 -1.0516 -0.2170 -0.414
C -1.0977 -1.7727 -1.3230 -0.221
N -1.0186 -0.8838 -2.4671 -0.884
H 2.8340 2.3418 1.6107 0.175
H 2.2874 0.7478 2.3475 0.176
H 3.3686 1.4431 -0.2445 0.464
H 0.8986 2.0339 -0.0435 0.201
H 0.2450 1.9232 1.6379 0.194
H 0.4295 -0.1052 -0.5600 0.205
H 0.8018 -0.8298 0.9228 0.212
H -1.7675 0.9376 0.6907 0.201
H -1.3281 -0.2227 1.8115 0.199
H -2.8362 -0.6137 -0.6381 0.197
H -2.3784 -1.8395 0.4099 0.201
H -0.1047 -2.1529 -1.0173 0.202
H -1.6477 -2.7114 -1.4719 0.177
H -0.1662 -0.5147 -2.8389 0.386
H -1.8749 -0.3744 -2.5731 0.367


Entry 4:
23
Properties=species:S:1:pos:R:3:nbo_charge:R:1 method="wB97M-V/def2-TZVPD" smiles=CC(C)CNCCO total_energy_ha=-367.5534 orbital_gap_ev=9.74
C -0.4089 -0.4755 -2.0551 -0.254
C 1.0578 -0.7438 -2.5693 -0.101
O 1.2542 -2.1821 -2.5781 -0.741
N -0.5900 0.4035 -0.9153 -0.611
C 0.0219 -0.1425 0.3133 -0.210
C -0.1593 0.8149 1.4778 -0.240
C -1.6484 1.0950 1.7033 -0.601
C 0.6146 0.4678 2.7394 -0.607
H -0.7118 -1.4457 -1.6463 0.207
H -1.0796 -0.2814 -2.9085 0.194
H 1.7532 -0.5428 -1.7456 0.177
H 1.4120 -0.3268 -3.5078 0.176
H 1.2314 -2.5409 -3.4683 0.466
H -0.1223 1.2765 -1.1500 0.341
H 1.0449 -0.4514 0.0768 0.171
H -0.4416 -1.1310 0.4850 0.186
H 0.3334 1.7698 1.1605 0.186
H -1.8106 1.1948 2.7841 0.198
H -2.2985 0.2818 1.3557 0.214
H -1.9685 2.0572 1.3009 0.216
H 0.8448 -0.6154 2.7426 0.202
H 0.0655 0.5824 3.6873 0.216
H 1.6060 0.9356 2.7177 0.213


Entry 5:
40
Properties=species:S:1:pos:R:3:nbo_charge:R:1 method="wB97M-V/def2-TZVPD" charge=-4 s_squared=3.76 spin_multiplicity=4 total_energy_ha=-3483.9777 orbital_gap_ev="2.54 / 2.41"
V -0.0196 -0.2850 0.2526 1.227
S 2.4188 -2.5731 -1.0016 2.603
O 2.7702 -2.3740 -2.4282 -1.166
O 1.4724 -1.4781 -0.6358 -1.101
O 1.7494 -3.8880 -0.8686 -1.062
O 3.6216 -2.4746 -0.1633 -1.079
S 2.3937 0.1329 2.6291 2.611
O 3.0684 -1.0446 3.1911 -1.066
O 2.0479 1.0929 3.6935 -1.140
O 3.2680 0.7423 1.6067 -1.117
O 1.1600 -0.2891 1.9264 -1.084
S -1.6854 -3.3214 0.5619 2.597
'''
Here it is =
Properties=species:S:1:pos:R:3:nbo_charge:R:1 method="wB97M-V/def2-TZVPD" smiles="CCC(N)=O.CCC" total_energy_ha=-367.5868 orbital_gap_ev=10.66
Properties=species:S:1:pos:R:3:nbo_charge:R:1 method="wB97M-V/def2-TZVPD" total_energy_ha=-367.5648 orbital_gap_ev=9.74
Properties=species:S:1:pos:R:3:nbo_charge:R:1 method="wB97M-V/def2-TZVPD" smiles=NCCCCCCO total_energy_ha=-367.5456 orbital_gap_ev=9.53
Properties=species:S:1:pos:R:3:nbo_charge:R:1 method="wB97M-V/def2-TZVPD" smiles=CC(C)CNCCO total_energy_ha=-367.5534 orbital_gap_ev=9.74
Properties=species:S:1:pos:R:3:nbo_charge:R:1 method="wB97M-V/def2-TZVPD" charge=-4 s_squared=3.76 spin_multiplicity=4 total_energy_ha=-3483.9777 orbital_gap_ev="2.54 / 2.41"